There is a topic that has weighed heavily upon my mind and heart for the past few weeks. I have some dear friends whom I fear are playing with fire. The worst part is that they either don’t realize or won’t accept that they are. What am I talking about? I am talking about moral cleanliness which is threatened by the fire of unbridled passion.
I am, apparently, not the only one concerned about this. There are countless talks given by our Prophet and Apostles to the young adults of the church on this topic. In the October 1990 General Conference Elder M. Russell Ballard began his talk with,
“The leaders of the Church care so deeply about every one of you that I feel an urgent need to warn you once again of the consequences of moral misconduct… We are aware that the youth of the Church are growing up in a world that is plagued with teenage moral misconduct. We also know that sexual sin has increased tremendously during the past 20 years. Far too many young people have violated the law of chastity. Unfortunately, the youth of the Church are not immune…” (Purity Precedes Power, October 1990 General Conference, Elder M. Russell Ballard)
First, I want you to know that my friends are all good people. They were raised with good standards, and would never (I hope) consciously do something to jeopardize their eternal happiness. And yet, when I see them with their girlfriends/boyfriends, I am afraid of just that. It seems that each time I see them together they are engaging in behavior that they never would have deemed appropriate just weeks before. Yet, they don’t see anything wrong in what they are doing. When I tried to speak to them, they just responded by informing me that touch was his or her love language, and that, they haven’t crossed the line, so it is, okay. Then they finish by saying I’ll understand someday when I am finally in love.
I do understand, and that is why I am so concerned. Though most do not know this about me, touch is one of my main love languages, as well. However, it is because of this that touch evokes such powerful feelings in me, which I hold sacred and will not abuse by evoking inappropriately.
As for not crossing the line, we are given a line or standard, not so as to see how close we can get to it without crossing it, but so we can stay away from it. Commandments are for our protection. They keep us from pain if we will obey them and help us to have true and lasting happiness in this life. The closer we get to the line the more our perception and ability to think clearly are skewed. When this happens we lose self-control, and we become bound.
“Our youth seem confused about the definition of moral cleanliness. Some young men and women take a certain definition and then push it to its limits to see how far they can go without being immoral by that definition. … Because sexual intimacy is so sacred, the Lord requires self-control and purity before marriage, as well as, full fidelity after marriage. In dating, treat your date with respect, and expect your date to show that same respect to you. Never treat your date as an object to be used for your own lustful desires or ego. Improper physical contact can cause a loss of self-control. Always stay in control of yourself and your physical feelings” Away From the Blinding Dust, May New Era 1991, Elder M. Russell Ballard
Lastly, when I think about passion and love I think of the counsel given by the Prophet Alma to his son Shiblon,
“See that ye bridle all your passions, that ye may be filled with love.”Alma 38:12
He did not tell his son to suppress, ignore, or snuff out his passions. He did not say passion was wrong or evil. What he did say was that to be filled with love (and not lust which can only destroy) that we need to bridle (control or properly direct) our passions.
“Sometimes people try to convince themselves that sexual relations outside of marriage are acceptable if the participants love one another. This is not true. Breaking the law of chastity and encouraging someone else to do so is not an expression of love. People who love each other,will never endanger one another’s happiness and safety in exchange for temporary personal pleasure.
Unrelated to this page: quantum chemistry results:
____________
{
  "formula": "C24H28NO3PtSi",
  "method": "the ωB97M-V functional and the def2-TZVPD basis",
  "spin_multiplicity": 1,
  "largest_force_ev_per_a": 1.30,
  "energy_ev": -44103.1963,
  "total_charge": -1,
  "e_above_lowest_ev": 0.294,
  "orbital_gap_ev": 6.883,
  "elements": ["Pt", "C", "C", "C", "O", "C", "O", "O", "H", "H", "H", "H", "H", "H", "H", "C", "C", "C", "C", "C", "C", "N", "C", "C", "C", "C", "C", "C", "H", "H", "H", "H", "H", "H", "H", "H", "H", "H", "C", "Si", "C", "C", "C", "C", "C", "C", "C", "H", "H", "H", "H", "H", "H", "H", "H", "H", "H", "H"],
  "coordinates": [[-0.02857, -0.22826, -0.58089], [-0.47139, -3.99963, 2.08124], [-1.00177, -3.21086, 0.88614], [-2.27287, -3.83598, 0.33137], [-1.36229, -1.89691, 1.29872], [0.08758, -3.24603, -0.21629], [0.43338, -4.35411, -0.60371], [0.62091, -2.15727, -0.67460], [-1.22261, -4.00782, 2.87348], [0.44335, -3.54295, 2.46661], [-0.23847, -5.01976, 1.78207], [-2.99735, -3.98006, 1.13460], [-2.03847, -4.79261, -0.13087], [-2.71261, -3.17729, -0.41918], [-0.66333, -1.54839, 1.86587], [-3.49720, 3.65671, 1.40439], [-3.19129, 4.12751, 0.13541], [-2.43337, 3.37061, -0.74490], [-1.95010, 2.10449, -0.38156], [-2.25201, 1.64882, 0.91055], [-3.01302, 2.40865, 1.78031], [-1.12873, 1.33179, -1.20763], [-1.19205, 1.49479, -2.59547], [-2.40269, 1.74752, -3.26127], [-2.45276, 1.84969, -4.64090], [-1.30551, 1.70252, -5.41167], [-0.10472, 1.44368, -4.76429], [-0.04394, 1.34950, -3.38360], [-4.08801, 4.25163, 2.08928], [-3.53954, 5.10572, -0.17684], [-2.19221, 3.77082, -1.72028], [-1.87058, 0.67971, 1.20846], [-3.23287, 2.01849, 2.76742], [-3.31503, 1.82595, -2.68513], [-3.40648, 2.03885, -5.12062], [-1.34776, 1.78693, -6.48996], [0.80458, 1.31511, -5.33995], [0.89636, 1.14984, -2.88610], [2.03149, 2.29175, 0.52866], [1.95931, 0.46907, 0.09156], [3.26242, 0.17490, -1.23432], [2.63694, -0.48576, 1.59534], [3.11382, 0.17668, 2.73016], [3.62879, -0.51690, 3.81956], [3.67594, -1.90155, 3.79978], [3.20917, -2.58459, 2.68456], [2.69758, -1.88559, 1.59937], [3.04098, 2.56915, 0.84816], [1.32853, 2.56086, 1.31973], [1.77618, 2.88446, -0.35254], [4.26240, 0.33310, -0.81882], [3.12883, 0.84458, -2.08746], [3.19925, -0.85142, -1.60187], [3.08365, 1.25964, 2.76951], [3.99176, 0.02627, 4.68456], [4.07054, -2.44659, 4.64926], [3.24267, -3.66769, 2.65841], [2.34317, -2.43174, 0.73618]],
____________
When people care for one another, enough to keep the law of chastity, their love, trust, and commitment increase, resulting in greater happiness and unity. In contrast, relationships built on sexual immorality sour quickly. Those who engage in sexual immorality often feel fear, guilt, and shame. Bitterness, jealousy, and hatred soon replace any positive feelings that once existed in their relationship.” Chastity, Gospel Library,
Gospel Topics
If any have gone too far (if you are not sure if your conduct has gone too far then talk to your bishop or branch president). Then there is still hope in the Atonement. The path to repentance and complete forgiveness in overcoming this sin is difficult, but doable. Go and talk to your Bishop or Branch President today, and he will help you to do so.